InuYasha Fan Fiction ❯ I'll Be There For You ❯ Prom ( Chapter 9 )

[ T - Teen: Not suitable for readers under 13 ]

Chapter 9: Prom
Inuyasha pulled into a parking space at the hotel where the prom was taking place. Stepping around to the passenger side, he opened the door and helped Kagome from the car. With a dazzling smile, she took his arm and allowed him to lead her inside. They managed to find Miroku and Sango just inside the door.
Miroku glanced at Kagome's hand and smiled. “Congratulations you two!” He shook Inuyasha's hand and went to hug Kagome. Inuyasha growled as Miroku's hands started to wander. Kagome laughed and stepped away.
Sango looked at the three in confusion. All of a sudden, a sparkle caught her eye and she grabbed Kagome's hand and squealed in delight. “Is that what I think it is?”
Kagome nodded happily. “Yes. Inuyasha asked me tonight at dinner. We are engaged!” The two girls embraced, both of them with tears in their eyes.
Sango looked over at Inuyasha. “You better take care of my best friend, or I'll hunt you down!” He found himself gulping as he nodded in understanding. Miroku stood smirking (after all, he knew first hand how scary Sango could be). “Come on, Kagome! We need to go show it off!” The two young men watched as Sango dragged the laughing girl to the other side of the room.
Miroku tried to talk to Inuyasha, but his mind and eyes were on his fiancée. From time to time, Kagome's eyes would meet his and she would grace him with her heart-stopping smile. Finally realizing that Inuyasha wasn't listening to him, Miroku slugged him in the shoulder and chuckled. “Go get her and enjoy the evening.” Giving his friend a grateful look, Inuyasha made his way over to the small crowd surrounding his Kagome.
“Excuse me, may I have this dance?” Kagome smiled and nodded her head. Inuyasha drew her out to the dance floor; the DJ was just starting a slow song. Tucking her petite body tightly against his, Inuyasha allowed himself to relax and truly realize that Kagome was really his.
Everyone who saw the happy couple commented how good they looked together. Most were happy for the newly engaged couple; quite a few were envious; but one was furious.
He had been among the group that had surrounded Kagome as she told about Inuyasha's proposal. He saw the ring that seemed to mock him. He saw the looks that passed across the room between the two. When Inuyasha led Kagome away to dance, he couldn't watch any longer.
“I told you that you were mine! But you didn't listen. Now I will have to take you and make you mine!” He made his way to a table where he could keep an eye on the two, waiting for a chance to get Kagome alone and then make his move.
Oblivious to the hostile watcher amongst the crowd, Inuyasha and Kagome enjoyed each other's company all evening. Many of Kagome's classmates came up asking to dance with either Inuyasha or herself, but Inuyasha was being possessive; only allowing her to dance one song with Miroku ( with a death threat looming over him if his hands should wander) while he danced with Sango.
The watcher growled softly to himself. That bastard, Inuyasha, hadn't left Kagome's side all evening. He had even tried to ask her to dance, only to be turned away. Even when she went to the restroom, her friend Sango had stayed close to her side. Getting frustrated, he decided to take a different approach. Standing, the watcher made his way out to the parking lot.
The night had flown past; the prom was winding down. People started to head out, either going home or to other parties around town. Miroku and Sango had already taken their leave promising to call the next afternoon.
“Are you ready, my angel?” Inuyasha asked as he gently kissed her forehead.
Kagome nodded her head. “As much as I don't want this night to end, I am exhausted.” Inuyasha chuckled softly and put his arm around her shoulders, drawing her closer to him as they walked out to his car.
“We'll have every night of our future together. This is only the beginning.” Kagome slid into the passenger seat and waited for Inuyasha to get in. She leaned over and gave him a kiss as he started the car.
What comes next are records of crystals, not part of the piece =
-- begin --
Starting from a cell relaxed with PBE, the powder XRD pattern of Na3Tl6Hg2 was calculated for Cu Kα, 1.54184 Å.

```
data_Na3Tl6Hg2
_chemical_formula_sum 'Na3 Tl6 Hg2'
_cell_length_a 6.0113
_cell_length_b 6.1714
_cell_length_c 9.5840
_cell_angle_alpha 90.17
_cell_angle_beta 96.23
_cell_angle_gamma 114.64
_space_group_name_H-M_alt 'P 1'
_space_group_IT_number 1
loop_
_space_group_symop_operation_xyz
'x,y,z'
loop_
_atom_site_label
_atom_site_fract_x
_atom_site_fract_y
_atom_site_fract_z
Na1 0.0000 0.0000 0.0000
Na2 0.1933 0.2149 0.3564
Na3 0.8067 0.7851 0.6436
Tl1 0.2601 0.7419 0.4822
Tl2 0.2881 0.2974 0.7163
Tl3 0.3972 0.8347 0.8459
Tl4 0.6028 0.1653 0.1541
Tl5 0.7119 0.7026 0.2837
Tl6 0.7399 0.2581 0.5178
Hg1 0.1659 0.5918 0.1393
Hg2 0.8341 0.4082 0.8607
```

Top 6 peaks for 10° ≤ 2θ ≤ 80°, by angle:
| hkl | d/Å | two_theta | I (rel.) |
| --- | --- | --- | --- |
| 1 -1 0 | 5.114 | 17.34 | 90 |
| -1 1 3 | 2.777 | 32.23 | 76 |
| 0 2 -1 | 2.726 | 32.85 | 80 |
| 1 -1 3 | 2.620 | 34.23 | 85 |
| 1 1 2 | 2.573 | 34.87 | 100 |
| 2 -2 0 | 2.557 | 35.09 | 73 |


[1]
Calculated PXRD pattern
Compound: SrBi5O9
Radiation: Cu Kα, 1.54184 Å
Structure: a cell relaxed with GGA-PBE

Structure:
```
SrBi5O9
1.0
4.066 0.000 0.000
-0.010 6.895 0.000
-2.012 -1.426 9.688
Sr Bi O
1 5 9
direct
0.000 0.000 0.000
0.152 0.416 0.306
0.336 0.101 0.671
0.494 0.502 0.001
0.651 0.876 0.320
0.835 0.604 0.663
0.042 0.380 0.085
0.161 0.092 0.295
0.196 0.737 0.388
0.330 0.433 0.653
0.442 0.148 0.885
0.548 0.832 0.100
0.626 0.516 0.255
0.836 0.939 0.673
0.945 0.638 0.876
```

Most intense lines, 10° ≤ 2θ ≤ 90°, by angle:
2θ/deg  intensity
25.58  21
26.26  32
27.62  71
28.13  100
28.99  39
29.98  52
44.57  25
45.34  44
47.96  29
53.21  23
53.31  22
54.57  26

---

[2]
Calculated PXRD pattern
Compound: SrTa2Bi2O9
Radiation: Cu Kα, 1.54184 Å
Structure: a cell relaxed with GGA-PBE

Structure:
```
SrTa2Bi2O9
1.0
14.926 -2.799 0.000
14.926 2.799 0.000
0.000 0.000 5.701
Sr Ta Bi O
2 4 4 18
direct
0.247 0.753 0.500
0.753 0.247 0.000
0.182 0.679 0.000
0.321 0.818 0.000
0.679 0.182 0.500
0.818 0.321 0.500
0.043 0.551 0.028
0.449 0.957 0.028
0.551 0.043 0.528
0.957 0.449 0.528
0.067 0.067 0.253
0.067 0.067 0.753
0.162 0.572 0.003
0.225 0.775 0.003
0.267 0.281 0.286
0.281 0.267 0.786
0.428 0.838 0.003
0.440 0.441 0.752
0.441 0.440 0.252
0.559 0.560 0.752
0.560 0.559 0.252
0.572 0.162 0.503
0.719 0.733 0.286
0.733 0.719 0.786
0.775 0.225 0.503
0.838 0.428 0.503
0.933 0.933 0.253
0.933 0.933 0.753
```

Most intense lines, 10° ≤ 2θ ≤ 90°, by angle:
2θ/deg  intensity
11.86  15
22.46  59
23.85  25
24.01  35
30.67  100
31.38  26
31.98  26
45.41  29
51.29  21
55.41  23
56.17  19
74.71  12

---

[3]
Calculated PXRD pattern
Compound: SrTa2Bi2O9
Radiation: Cu Kα, 1.54184 Å
Structure: a cell relaxed with GGA-PBE

Structure:
```
SrTa2Bi2O9
1.0
-1.968 1.968 12.585
1.968 -1.968 12.585
1.968 1.968 -12.585
Sr Ta Bi O
1 2 2 9
direct
0.000 0.000 0.000
0.415 0.415 0.000
0.585 0.585 0.000
0.201 0.201 0.000
-- stop --
“What for?”
“Thank-you for coming down to see me; thank-you for the soul connection; thank-you for being friends with Miroku and Sango; thank-you for taking me to dinner and prom tonight; thank-you for asking me to marry you. But most of all, thank-you for always being there for me.”
Inuyasha put his arm around her shoulder and gave it a tender squeeze. “You're more than welcome, my Kagome.”
Inuyasha turned his focus onto the road in front of him. As the car neared the shrine, Inuyasha caught a glimpse of a car coming towards them, swerving into his lane. He put his foot to the brake pedal only to feel it go to the floor. “OH SHIT! Hang on Kagome!” Inuyasha tried to swerve out of the way, but the steering wasn't responding properly. The other car was racing towards them. Inuyasha tried to get the wheel to turn; the car responding sluggishly. He heard Kagome scream as the oncoming car swerved at the last minute and hit their vehicle a glancing blow, causing their car to flip over a couple of times before coming to rest on the roof.
“Kagome….” He whispered before succumbing to the beckoning darkness. White rose petals flecked with the crimson of blood lay scattered on the roof of the car.
I am leaving you with another cliffy. Please review and let me know what you think. I would also like to know who you think the watcher is. Thanks to all who have reviewed to date, please continue to do so.